Celebrate Earth Day 2024: Planet vs. Plastics
Happy Earth Day! Every year, Earthday.org develops a theme around the one-day celebration, on April 22, in hopes of inspiring and sparking eco-friendly habits that'll stick throughout the year.
This year's theme is Planet vs. Plastics, with a goal of reducing production of plastic by 60% by the year 2040. Their plan for making this goal a success includes encouraging consumers to use less, reducing single use plastic production, pushing a United Nations Treaty on Plastic Pollution (that link is your queue to sign), and ending fast fashion. (Read more about Fast Fashion here.)
Phew, that's a lot to make happen before 2040! It may seem like a futile effort, however, we can individually support their cause by taking action through our purchasing decisions. And, if we all take individual action, collectively, we can make a big impact. After all, we vote with our dollar and if we are not purchasing plastic products then there is less plastic demand and, with less demand, there is no need to manufacture plastic ... see where I'm going with this? #RIPPlastic
Plastic's Harm to Human Health

From manufacturing to incineration, plastic is detrimental to human, animal, and planetary health. It leads to chemical waste in our ecosystems, from the waterways to the air to the soil that grows our food. It's a serious threat to all life on earth with recent research revealing that plastics are able to enter into the human bloodstream, permanently residing in our bodies until the day we die. That's pretty scary.
Not to be extra doom and gloom (sorry!), but we essentially eat, breathe, and drink plastic daily.
It is estimated that there are between 1 million and 1.7 million tons of plastic in the ocean. When plastic is released into the ocean, it's broken down by the sunlight and friction of the waves. The tiny plastic particles that are released get into our waterways and soil. We can ingest them in every way possible, by breathing, eating, and drinking. Fish? Yep, there are microplastics in the fish we eat.
When plastic is incinerated, it releases harmful chemicals in the air that we breathe.
When plastic is manufactured, chemicals that contribute to greenhouse gasses are released.
From start to finish, plastic is in our everyday environments.
Research shows that microplastics significantly damage cells in the human body, and may lead to serious health effects, including cancer, lung disease, birth defects, cognitive function, and hormone disruption, altering reproduction and growth.
The two groups of people that plastic affects the most are children and infants as they are most vulnerable during growth and development. Exposure to plastics has been found to increase the risk of birth complications, lung maturity, and childhood cancer.
Ready to take a stand against plastic? Sign the Global Plastics Treaty and explore the many other ways you can take action today.
10 Ways to Reduce Plastic in the Kitchen

This isn't about perfection. I get it, sometimes it can feel overwhelming taking action when we consider how much plastic we use every day. It's not our fault. It's the system. Plastic is inexpensive and versatile, therefore it's in almost everything. This is about being aware and taking steps to minimize our plastic use as much as we can. We may not be able to avoid it completely, but the very act of minimizing it can benefit our health, our family's health, and the health of the planet. Below are 10 Ways to Reduce Plastic in the Kitchen.
Use glass or stainless steel containers instead of plastic.
Glass and stainless steel are without harmful plastic chemicals like bisphenols (BPA) or phthalates, which have been linked to reproductive dysfunction, asthma, and neurological issues. Earth Hero has some great options!

Reuse old glass consumers to store dressings and sauces.
One thing I personally love to do to minimize plastic, save money, and reduce waste is reuse old condiment jars. Once they're empty, I pop them into the dishwasher and they become reusable storage containers for everything from overnight oats to dressings and sauces.

<<<
# 1
A cluster of 2 separate species, C2H5ClN2 in total. Source: OMol25; level of theory: wB97M-V/def2-TZVPD.

Each atom is followed by the atoms it is bonded to, with distances in Å.
Element x y z (Å)
1 C -0.788 -0.187 -1.384  N3 1.208, H6 1.032
2 C 1.551 0.473 0.248  N4 1.259, H8 1.022, H9 1.110
3 N -1.448 -0.777 -0.562  C1 1.208, Cl5 2.111, H7 0.976
4 N 0.922 -0.228 1.084  C2 1.259, H10 1.022
5 Cl -2.262 -0.011 1.229  N3 2.111
6 H -0.313 0.726 -1.457  C1 1.032
7 H -1.912 -1.624 -0.705  N3 0.976
8 H 1.629 1.487 0.146  C2 1.022
9 H 2.178 -0.148 -0.425  C2 1.110
10 H 0.445 0.287 1.826  N4 1.022

Molar mass = 92.5 g mol⁻¹
E_HOMO = -9.078 eV
HOMO-LUMO gap = 8.425 eV
DFT total energy = -648.7476 Eh
LUMO energy = -0.7 eV
ΔE to the lowest compared entry with this formula, charge and spin = 410.4 kJ/mol

Listed below, in e, are the Löwdin charges computed for each atom:
1. C 0.035
2. C -0.178
3. N -0.200
4. N 0.016
5. Cl 0.107
6. H 0.031
7. H 0.064
8. H 0.036
9. H 0.078
10. H 0.012



# 2
An isolated molecule of C2H5ClN2O. Source: OMol25; level of theory: wB97M-V/def2-TZVPD.

Each atom is followed by the atoms it is bonded to, with distances in Å.
Element x y z (Å)
1 N -0.182 0.229 -1.460  N2 1.357, H7 1.148, H8 1.065
2 N 0.214 1.102 -0.500  N1 1.357, C3 1.336, H9 0.991
3 C 0.081 0.712 0.770  N2 1.336, O4 1.203, C5 1.509
4 O 0.258 1.462 1.694  C3 1.203
5 C -0.186 -0.773 0.754  C3 1.509, Cl6 1.882, H10 1.117, H11 1.109
6 Cl 1.495 -1.617 0.685  C5 1.882
7 H 0.348 -0.788 -1.416  N1 1.148
8 H -1.231 0.086 -1.573  N1 1.065
9 H 0.675 1.944 -0.748  N2 0.991
10 H -0.816 -1.376 0.055  C5 1.117
11 H -0.655 -0.983 1.738  C5 1.109

Molar mass = 108.5 g mol⁻¹
E_HOMO = -9.907 eV
HOMO-LUMO gap = 10.304 eV
DFT total energy = -724.0851 Eh
SMILES = NNC(=O)CCl
LUMO energy = 0.4 eV
ΔE to the lowest compared entry with this formula, charge and spin = 134.1 kJ/mol

Listed below, in e, are the Löwdin charges computed for each atom:
1. N -0.072
2. N -0.044
3. C -0.605
4. O 0.084
5. C -0.432
6. Cl 0.526
7. H 0.120
8. H 0.116
9. H 0.145
10. H 0.075
11. H 0.088



# 3
An isolated molecule of C2H5ClN2O3. Source: OMol25; level of theory: wB97M-V/def2-TZVPD.

Each atom is followed by the atoms it is bonded to, with distances in Å.
Element x y z (Å)
1 N -0.587 1.906 -1.185  C2 1.354, H9 1.006, H10 1.004
2 C 0.096 0.946 -0.519  N1 1.354, O3 1.228, N4 1.355
3 O 1.313 0.969 -0.354  C2 1.228
4 N -0.629 -0.100 -0.055  C2 1.355, Cl5 1.709, C6 1.706
5 Cl -2.335 -0.075 0.053  N4 1.709
6 C 0.088 -1.177 1.056  N4 1.706, O7 1.334, O8 1.341, H11 1.099
7 O -0.722 -2.226 1.206  C6 1.334, H12 0.969
8 O 1.285 -1.479 0.532  C6 1.341, H13 0.989
9 H -1.551 1.749 -1.426  N1 1.006
10 H -0.056 2.567 -1.722  N1 1.004
11 H 0.096 -0.571 1.973  C6 1.099
12 H -0.513 -2.878 0.520  O7 0.969
13 H 1.703 -0.628 0.249  O8 0.989

Molar mass = 140.5 g mol⁻¹
E_HOMO = -9.577 eV
HOMO-LUMO gap = 10.220 eV
DFT total energy = -874.6260 Eh
SMILES = NC(=O)N(Cl)C(O)O
LUMO energy = 0.6 eV
>>>

Use silicone, wood, or stainless steel kitchen utensils.
Plastic emits more harmful chemicals when heated so if you're using plastic spatulas and spoons in hot foods, chemicals are likely leaching into your food. Opt for kitchen utensils that don't leach detrimental chemicals into your food and environment by using silicone, wood, or stainless steel.

Drink out of glass or reusable bottles.
Think about the water sitting in plastic water bottles during transportation. They may be transported on hot trucks (again, heat activates the plastic to release more chemicals), then they sit on store shelves for a period of time, allowing the plastic chemicals to fill your water with more than hydration. Instead, consider investing in a home water filter system. For to-go coffee and tea, use stainless steel or ceramic tumblers and mugs.

Use stainless steel reusable straws.
Care to slurp up some plastic with each sip? If not, then consider keeping stainless steel straws on hand. (At the time of writing this blog, they're only $2.15 each!)

- - -
The following is a quantum chemistry calculation of a cluster of 16 separate species, C86H198Cl6O42 in total, from the Open Molecules 2025 dataset.

Output
Maximum force in eV/A: 4.20
E_tot in hartree: -9315.73633
Total charge: 0
HOMO in eV: -9.030

Last columns: bonded neighbours and bond lengths (Å).
CARTESIAN COORDINATES (ANGSTROEM)
1 C 16.17 -27.92 3.53  O2 1.418, H10 1.097, H11 1.077, H12 1.104
2 O 16.80 -28.62 4.59  C1 1.418, C3 1.402
3 C 18.17 -28.88 4.41  O2 1.402, C4 1.532, H13 1.116, H14 1.115
4 C 18.60 -29.81 5.55  C3 1.532, O5 1.392, H15 1.149, H16 1.076
5 O 19.97 -29.84 5.78  C4 1.392, C6 1.413
6 C 20.61 -30.89 5.09  O5 1.413, C7 1.532, H17 1.076, H18 1.133
7 C 20.74 -30.69 3.57  C6 1.532, O8 1.418, H19 1.043, H20 1.109
8 O 21.94 -29.97 3.35  C7 1.418, C9 1.446
9 C 22.03 -29.71 1.93  O8 1.446, H21 1.109, H22 1.106, H23 1.087
10 H 16.49 -28.24 2.53  C1 1.097
11 H 16.45 -26.88 3.59  C1 1.077
12 H 15.10 -28.05 3.78  C1 1.104
13 H 18.81 -27.97 4.49  C3 1.116
14 H 18.21 -29.34 3.40  C3 1.115
15 H 18.12 -30.85 5.44  C4 1.149
16 H 18.22 -29.38 6.46  C4 1.076
17 H 20.32 -31.87 5.40  C6 1.076
18 H 21.69 -30.87 5.43  C6 1.133
19 H 19.94 -30.27 3.04  C7 1.043
20 H 20.80 -31.74 3.24  C7 1.109
21 H 21.44 -28.86 1.54  C9 1.109
22 H 21.68 -30.67 1.51  C9 1.106
23 H 23.08 -29.61 1.66  C9 1.087
24 C 12.06 -28.97 3.37  O25 1.400, H33 1.065, H34 1.076, H35 1.041
25 O 12.87 -28.69 4.47  C24 1.400, C26 1.446
26 C 12.11 -28.04 5.52  O25 1.446, C27 1.518, H36 1.106, H37 1.075
27 C 13.06 -27.38 6.49  C26 1.518, O28 1.454, H38 1.107, H39 1.121
28 O 13.40 -28.18 7.66  C27 1.454, C29 1.388
29 C 14.16 -29.32 7.43  O28 1.388, C30 1.489, H40 1.121, H41 1.113
30 C 14.49 -30.00 8.71  C29 1.489, O31 1.435, H42 1.093, H43 1.156
31 O 15.19 -29.16 9.63  C30 1.435, C32 1.447
32 C 15.08 -29.76 10.95  O31 1.447, H44 1.097, H45 1.079, H46 1.088
33 H 11.18 -29.55 3.55  C24 1.065
34 H 12.67 -29.40 2.59  C24 1.076
35 H 11.59 -28.08 3.11  C24 1.041
36 H 11.59 -28.88 6.01  C26 1.106
37 H 11.46 -27.39 4.97  C26 1.075
38 H 12.60 -26.54 7.04  C27 1.107
39 H 14.01 -26.99 6.03  C27 1.121
40 H 15.09 -29.04 6.86  C29 1.121
41 H 13.67 -30.05 6.75  C29 1.113
42 H 14.96 -30.95 8.45  C30 1.093
43 H 13.53 -30.36 9.23  C30 1.156
44 H 14.01 -29.72 11.20  C32 1.097
45 H 15.62 -29.15 11.65  C32 1.079
46 H 15.34 -30.81 10.93  C32 1.088
47 C 18.61 -33.93 1.40  O48 1.426, H56 1.117, H57 1.096, H58 1.082
48 O 19.71 -34.30 2.23  C47 1.426, C49 1.456
49 C 19.39 -34.16 3.64  O48 1.456, C50 1.518, H59 1.115, H60 1.106
50 C 20.56 -34.75 4.41  C49 1.518, O51 1.449, H61 1.113, H62 1.118
51 O 21.75 -33.92 4.42  C50 1.449, C52 1.435
52 C 22.61 -34.14 3.29  O51 1.435, C53 1.501, H63 1.069, H64 1.067
53 C 23.99 -33.56 3.42  C52 1.501, O54 1.443, H65 1.135, H66 1.068
54 O 24.71 -34.35 4.39  C53 1.443, C55 1.449
55 C 25.93 -33.82 4.96  O54 1.449, H67 1.071, H68 1.105, H69 1.140
56 H 18.41 -32.83 1.35  C47 1.117
57 H 17.69 -34.47 1.66  C47 1.096
58 H 18.90 -34.21 0.40  C47 1.082
- - -

BYOB at the grocery store (both produce bags and shopping bags).
Keeping reusable grocery and produce bags in the car ensures that they get used when you make that last minute stop at the grocery store! (I'm guilty of NOT doing this and trying to juggle 15 items in my arms walking out to the car, leaving a trail of oranges and avocados behind me.😂)

Use compostable trash bags.
I use Bio Bags and they work well! But there are lots of good-quality compostable trash bags available now. I say 'now' because there was a time when they were a bit, umm, a bit too flimsy. (Picture pulling up the trash bag with all of the trash left in the bin. I promise that they're now in tip-top shape for holding your trash!)
P.S. To get tips on minimizing waste and trash in the kitchen visit this article.

Replace plastic wrap with reusable lids and cloths.
Rather than plastic wrap that gets ditched (and then you need to go out and purchase more), invest in some reusable silicone lids or cotton cloths.

Use Swedish compostable cloths in place of sponges and other cleaning items made with plastic.
This is where you get to have some fun! If Swedish clothes are new to you, these functional wash cloths for your countertops, dishes, and other kitchen needs, typically last up to 50 wash cycles before they can be composted. The fun part is that there are many cool-themed options from which to choose, like animal-themed, earth-themed, and flower-themed, just to name a few!

Add bamboo or other wood in place of plastic kitchen tools and utensils.
Whether it's cutting boards or a scrub brush, bamboo, or other type of wood, is a better alternative for you and the planet. If you're having a friend and family gathering, consider bamboo utensils and paper plates!

Celebrating Earth Day Sustainably
In conclusion, as we celebrate Earth Day 2024 under the banner of "Planet vs. Plastics," it's evident that the battle against plastic pollution is urgent and multifaceted. From advocating for global treaties to implementing simple changes in our daily lives, every action counts towards the collective goal of reducing plastic production by 60% by the year 2040. The harmful impact of plastics on human health, ecosystems, and wildlife underscores the necessity for immediate action. By embracing alternatives like reusable containers, stainless steel straws, and compostable products, we can significantly curb our reliance on plastic and pave the way for a healthier, more sustainable future. Together, let's turn the tide against plastic pollution and safeguard the planet for generations to come. #RIPPlastic